How to write an essay Level 2
Essay writing Why is essay writing SO exciting? Can you think of a time when you will need to be able to write down your ideas and thoughts clearly?
********
# BaAg2As (PBE, optimized geometry)
data_BaAg2As
_chemical_formula_sum 'Ba1 Ag2 As1'
_cell_length_a 4.413
_cell_length_b 4.414
_cell_length_c 5.788
_cell_angle_alpha 90.00
_cell_angle_beta 93.79
_cell_angle_gamma 90.00
_symmetry_space_group_name_H-M 'P 1 m 1'
_symmetry_Int_Tables_number 6
loop_
_symmetry_equiv_pos_as_xyz
'x,y,z'
'x,-y,z'
loop_
_atom_site_label
_atom_site_fract_x
_atom_site_fract_y
_atom_site_fract_z
Ba1 0.000 0.000 0.000
Ag1 0.480 0.000 0.512
Ag2 0.954 0.500 0.509
As1 0.474 0.500 0.770
# Calculated volume (Å³/cell): 112.5
# Density of states at the Fermi level (states/eV/atom): 0.535
# ΔE_f (eV per atom): -0.289
# Total DFT energy (no corrections) (eV per atom): -3.3576

---

# Nd3MgF (PBE, optimized geometry)
data_Nd3MgF
_chemical_formula_sum 'Nd3 Mg1 F1'
_cell_length_a 5.089
_cell_length_b 5.089
_cell_length_c 5.089
_cell_angle_alpha 90.00
_cell_angle_beta 90.00
_cell_angle_gamma 90.00
_symmetry_space_group_name_H-M 'P m -3 m'
_symmetry_Int_Tables_number 221
_symmetry_space_group_name_Hall '-P 4 2 3'
loop_
_atom_site_label
_atom_site_fract_x
_atom_site_fract_y
_atom_site_fract_z
Nd1 0.000 0.000 0.500
Mg1 0.500 0.500 0.500
F1 0.000 0.000 0.000
# Formation energy (no corrections) (eV per atom): -0.974
# Calculated volume (Å³/cell): 131.8
# Density of states at the Fermi level (states/eV/atom): 0.818
# Total DFT energy (no corrections) (eV per atom): -4.5277

---

# Mn2CdCu (PBE, optimized geometry)
data_Mn2CdCu
_chemical_formula_sum 'Mn2 Cd1 Cu1'
_cell_length_a 3.033
_cell_length_b 2.987
_cell_length_c 6.960
_cell_angle_alpha 90.00
_cell_angle_beta 90.07
_cell_angle_gamma 90.00
_symmetry_space_group_name_H-M 'P 1 2/m 1'
_symmetry_Int_Tables_number 10
loop_
_symmetry_equiv_pos_as_xyz
'x,y,z'
'-x,-y,-z'
'-x,y,-z'
'x,-y,z'
loop_
_atom_site_label
_atom_site_fract_x
_atom_site_fract_y
_atom_site_fract_z
Mn1 0.000 0.000 0.214
Cd1 0.500 0.500 0.500
Cu1 0.500 0.500 0.000
# Calculated volume (Å³/cell): 63.1
# Density of states at the Fermi level (states/eV/atom): 0.560
# ΔE_f (eV per atom): 0.252
# Total DFT energy (no corrections) (eV per atom): -5.5859

---

# Fe2HgRhCl (PBE, optimized geometry)
data_Fe2HgRhCl
_chemical_formula_sum 'Fe2 Hg1 Rh1 Cl1'
_cell_length_a 4.928
_cell_length_b 4.928
_cell_length_c 5.085
_cell_angle_alpha 90.00
_cell_angle_beta 90.00
_cell_angle_gamma 90.00
_symmetry_space_group_name_H-M 'P 4/m m m'
_symmetry_Int_Tables_number 123
_symmetry_space_group_name_Hall '-P 4 2'
loop_
_atom_site_label
_atom_site_fract_x
_atom_site_fract_y
_atom_site_fract_z
Fe1 0.000 0.500 0.000
Hg1 0.000 0.000 0.000
Rh1 0.000 0.000 0.500
Cl1 0.500 0.500 0.500
# Formation energy (no corrections) (eV per atom): 1.495
# Relative energy among the computed polymorphs (eV/atom): 0.835
# Calculated volume (Å³/cell): 123.5
# Density of states at the Fermi level (states/eV/atom): 1.783
# Total DFT energy (no corrections) (eV per atom): -3.7902

---

# TaCo2Au (PBE, optimized geometry)
data_TaCo2Au
_chemical_formula_sum 'Ta2 Co4 Au2'
********
The page goes on.
Essay Writing The most important step is choosing a question. Choose a question that you understand and that suits our poetry.
The word ‘analyse’ The word ‘analyse’ is found in most essay questions. ‘Analyse’ means to write about several techniques the poet uses, such as: Figurative language Sound devices
Answering the question What are the key words in the question? Which techniques could you write about? Figurative language, sound devices, structural devices
Planning your answer Brainstorm your answer! Decide which language techniques best fit the topic. You need at least 3 examples per paragraph.
Paragraph Structure Each middle paragraph needs: A topic sentence (a sentence that uses words from the essay question and answers the question directly) The specific technique you will be writing about How the technique was used and why the poet used it
The Exemplar file:///C:\Users\sel\Documents\Year%2012\90378-exp-08-excellence.pdf
For EACH of the texts, analyse how language techniques shaped your attitude toward ONE OR TWO characters or individuals.
Planning your answer – Example (Middle Paragraph 1) Topic Sentence Technique How and Why Furthermore (This shows…) Concluding statement The extended metaphor Farme uses in “The Linesman” encourages me to see that the observer is insecure rather than sinister. The extended metaphor is that of the linesmans safety harness being his support base. The linesman is way up high “dependant upon his safety belt:trusting in it” where as the observer is watching from the ground trusting no-one. We know that the observer is jealous because of the linesman’s “position of comfort and security” through personal pronoun when she says “you see I was hoping he might fall.” This shows us the observer has been let down by those she trusted and depended on. This has made her too insecure to take part in her own life, she wants the linesman to be let down by his safety belt so that he too will be at the same level as her. This extended metaphor that Frame uses makes me feel sorry for the observer as she is too afraid of letting anyone in incase she is let down again. It makes me realise how easy it is for people to be let down repeatedly and to become secluded, not trusting and alone like the observer. I understand the observers jealousy at the linesman’s safety niche because I like everyone can relate to being let down by friends or family at least once in my lifetime.
Let’s plan! We have looked at the Excellence Exemplar Let us look at our essay plan.
Planning the answer for our essay. Topic Sentence Technique How and Why Furthermore (This shows…) Concluding statement A language feature that helped me see war was a great honour is positive connotation ‘gentleness’ ‘friends’ ‘dreams’ ‘hearts at peace’ ‘heaven’ Rupert Brooke used positive connotation how himself, as narrator, views dying at war. He also uses personal pronouns to show that dying in war is honourable. “if I should die..” He sees dying for one’s country as an honourable. He writes through metaphor that in death he is ‘rich’; “there shall be in that rich earth a richer dust concealed”. The ‘richer dust’ are his bones, considered rich because he belongs to England. The use of positive connotation, personal pronoun and metaphor enabled me to see that Brooke so dying as a great honour rather than a gruesome experience. The word ‘rich’ allows me to see that he thinks soldiers are rich even in death. The tone of the poem is very patriotic and enabled me to see that the narrator had not experienced war in the same way Wilfred Owen had.
Planning your answer Look at the Excellence exemplar again. Notice that the structure is the same (some minor differences). Our essay: Try filling out the grid in your folder for the 2nd middle paragraph. Think about the resurrection, baptism…………
The Conclusion The purpose of your conclusion is to provide a persuasive and satisfying end to your essay. Your conclusion needs: The titles and poets’ name A summary of the points you have made previously
Essay Checklist The titles and poets’ names are in the introduction The title has capital letters and is in quotation marks. There is an introduction, four middle paragraphs and a conclusion
Essay Checklist There is one clear topic sentence used at the beginning of each middle paragraph The conclusion summarises the main ideas and does not contain new information or ideas The essay is clear, easy to understand, and persuasive
[These records of crystals were left in the text by mistake]
Record 1
Density functional theory data (GGA-PBE) for an optimized crystal structure of Pm8TmBi6.

Calculated formation energy: -0.57 eV/atom
Mass density: 8.28 g cm⁻³
SG: R-3, No. 148

Cell: 9.9829 9.9829 9.9829 Å, 48.87 48.87 48.87°
With the nearest neighbours (Å) after each atom.
Element x y z (fractional)
Pm  0.0361  0.7171  0.3810  3 Bi 3.13-3.14
Pm  0.1669  0.1669  0.1669  6 Bi 3.27-3.28
Pm  0.2829  0.6190  0.9639  3 Bi 3.13-3.14
Pm  0.3810  0.0361  0.7171  3 Bi 3.13-3.14
Pm  0.6190  0.9639  0.2829  3 Bi 3.13-3.14
Pm  0.7171  0.3810  0.0361  3 Bi 3.13-3.14
Pm  0.8331  0.8331  0.8331  6 Bi 3.27-3.28
Pm  0.9639  0.2829  0.6190  3 Bi 3.13-3.14
Tm  0.5000  0.5000  0.5000  6 Bi 3.19
Bi  0.1106  0.4327  0.7610  5 Pm 3.13-3.28, 1 Tm 3.19
Bi  0.2390  0.8894  0.5673  5 Pm 3.13-3.28, 1 Tm 3.19
Bi  0.4327  0.7610  0.1106  5 Pm 3.13-3.28, 1 Tm 3.19
Bi  0.5673  0.2390  0.8894  5 Pm 3.13-3.28, 1 Tm 3.19
Bi  0.7610  0.1106  0.4327  5 Pm 3.13-3.28, 1 Tm 3.19
Bi  0.8894  0.5673  0.2390  5 Pm 3.13-3.28, 1 Tm 3.19

---

Record 2
Density functional theory data (GGA-PBE) for an optimized crystal structure of ZrBTe2N.

E_form (uncorrected): 4.635 eV per formula unit
Energy above the most stable polymorph in this dataset: 830 meV per atom
Mass density: 4.63 g cm⁻³
SG: P4/mmm, No. 123

Cell: 5.7886 5.7886 3.9730 Å, 90.00 90.00 90.00°
With the nearest neighbours (Å) after each atom.
Element x y z (fractional)
Zr  0.0000  0.0000  0.0000  2 N 1.99
B  0.5000  0.5000  0.5000  8 Te 3.51
Te  0.0000  0.5000  0.0000  2 Zr 2.89
Te  0.5000  0.0000  0.0000  2 Zr 2.89
N  0.0000  0.0000  0.5000  2 Zr 1.99

---

Record 3
Density functional theory data (GGA-PBE) for an optimized crystal structure of SnGe6Te8.

E_form (uncorrected): -0.627 eV per formula unit
Mass density: 5.41 g cm⁻³
SG: R-3, No. 148

Cell: 8.0863 8.0863 8.0863 Å, 75.17 75.17 75.17°
With the nearest neighbours (Å) after each atom.
Element x y z (fractional)
Sn  0.0000  0.0000  0.0000  6 Te 3.00
Ge  0.1136  0.5948  0.3722  3 Te 2.75-2.83, 1 Ge 2.81
Ge  0.3722  0.1136  0.5948  3 Te 2.75-2.83, 1 Ge 2.81
Ge  0.4052  0.6278  0.8864  3 Te 2.75-2.83, 1 Ge 2.81
Ge  0.5948  0.3722  0.1136  3 Te 2.75-2.83, 1 Ge 2.81
Ge  0.6278  0.8864  0.4052  3 Te 2.75-2.83, 1 Ge 2.81
Ge  0.8864  0.4052  0.6278  3 Te 2.75-2.83, 1 Ge 2.81
Te  0.1408  0.3249  0.8221  2 Ge 2.75-2.83, 1 Sn 3.00
Te  0.1779  0.8592  0.6751  2 Ge 2.75-2.83, 1 Sn 3.00
Te  0.2771  0.2771  0.2771  3 Ge 2.77
Te  0.3249  0.8221  0.1408  2 Ge 2.75-2.83, 1 Sn 3.00
Te  0.6751  0.1779  0.8592  2 Ge 2.75-2.83, 1 Sn 3.00
Te  0.7229  0.7229  0.7229  3 Ge 2.77
Te  0.8221  0.1408  0.3249  2 Ge 2.75-2.83, 1 Sn 3.00
Te  0.8592  0.6751  0.1779  2 Ge 2.75-2.83, 1 Sn 3.00

---

Record 4
Density functional theory data (GGA-PBE) for an optimized crystal structure of LiSmZn3.

Calculated formation energy: -0.21 eV/atom
Energy above the most stable polymorph in this dataset: 0 meV per atom
Mass density: 6.15 g cm⁻³
SG: Cmcm, No. 63

Cell: 5.8811 5.8811 6.1010 Å, 90.00 90.00 115.24°
[The text goes on]
Essays – Marking Schedule Not Achieved Achieved Merit Excellence Analysis Too much plot summary. Vague or unclear. No reference to specific details in the text. Doesn’t address the question. Simplistic or under-developed ideas. Too short (less than 250 words). Addresses all parts of the question. Analyses how each technique is used and why it has been used this way (at least three techniques analysed). The main idea of is identified using more than one word. Addresses fully all parts of the question. Analyses each technique in depth; how it is used and explains exactly why it has been used this way. Ideas are developed in each middle paragraph and in conclusion. As of Merit, plus: - refer to director’s purpose - provide a sophisticated personal response (from a reader’s point of view) -make an evaluative statement about the techniques - show a very good understanding of the techniques and how and why they were used Evidence Not enough quotes/examples from the text. Evidence used does not support each point being made. Each middle paragraph contains evidence (examples or quotes) from each of the texts. Each middle paragraph contains appropriate, comprehensive evidence (multiple examples or quotes) that supports each point. Quotes and examples are integrated throughout the whole essay. Every piece of evidence used is analysed extremely well.